-- Listing --
'''
Here is a relaxed Li3Mn2CrO6 crystal from the Alexandria database. Energies are from GGA+U.

a b c (Å): 6.5939 6.5939 5.9092
angles (deg): 103.48 103.48 25.66
Fractional positions:
Li1 0.0000 0.0000 0.0000
Li2 0.3323 0.3323 0.6671
Li3 0.6677 0.6677 0.3329
Mn1 0.3329 0.3329 0.1642
Mn2 0.6671 0.6671 0.8358
Cr1 0.0000 0.0000 0.5000
O1 0.1624 0.1624 0.6003
O2 0.1723 0.1723 0.0693
O3 0.4942 0.4942 0.2621
O4 0.5058 0.5058 0.7379
O5 0.8277 0.8277 0.9307
O6 0.8376 0.8376 0.3997

* ρ: 4.3 g/cm³
* raw total energy: -6.54 eV/atom
* crystal system: monoclinic

----------

Record 1
Pr8NiTe4Se3 (PBE-GGA, optimized geometry); uncorrected energy = -5.651 eV/atom; space group = R-3m (166); magnetic moment = 0.00 μB/f.u.
1.0
8.7207 0.0000 0.0000
0.0000 8.8725 0.1016
-4.3603 -4.3564 6.1696
Pr Te Se Ni
8 4 3 1
direct
0.7680 0.2805 0.5361
0.7417 0.7250 0.4833
0.7682 0.2807 0.0124
0.7559 0.7193 0.9876
0.2441 0.2807 0.0124
0.2320 0.7195 0.4639
0.2583 0.2750 0.5167
0.2318 0.7193 0.9876
0.5000 0.0000 0.5000
0.0000 0.0000 0.5000
0.5000 0.0000 0.0000
0.0000 0.0000 0.0000
0.5000 0.5000 0.5000
0.0000 0.5000 0.5000
0.5000 0.5000 0.0000
0.0000 0.5000 0.0000

---

Record 2
PrUNiSe4 (PBE-GGA, optimized geometry); uncorrected energy = -6.263 eV/atom; space group = P2_1/m (11); magnetic moment = 2.19 μB/f.u.
1.0
6.8990 0.0000 0.1425
0.0000 5.9330 0.0000
-2.5144 0.0000 7.7955
U Pr Se Ni
2 2 8 2
direct
0.7385 0.7500 0.4402
0.2615 0.2500 0.5598
0.2568 0.2500 0.0670
0.7432 0.7500 0.9330
0.5782 0.2500 0.3941
0.9833 0.0080 0.2572
0.0167 0.5080 0.7428
0.0167 0.9920 0.7428
0.4286 0.7500 0.1169
0.5714 0.2500 0.8831
0.9833 0.4920 0.2572
0.4218 0.7500 0.6059
0.2461 0.7500 0.3198
0.7539 0.2500 0.6802

---

Record 3
Pr2Si3Ni5 (PBE-GGA, optimized geometry); uncorrected energy = -6.109 eV/atom; space group = Ibam (72); magnetic moment = 0.00 μB/f.u.
1.0
-0.1222 -1.9132 5.3839
-2.8708 -7.5363 0.2900
6.1521 -5.0358 1.3834
Pr Si Ni
4 6 10
direct
0.1293 0.6262 0.1152
0.3707 0.8848 0.3738
0.8707 0.3738 0.8848
0.6293 0.1152 0.6262
0.2500 0.0000 0.0000
0.1160 0.2525 0.5154
0.8840 0.7475 0.4846
0.6160 0.5154 0.2525
0.3840 0.4846 0.7475
0.7500 0.0000 0.0000
0.9801 0.2699 0.2699
0.0199 0.7301 0.7301
0.7500 0.5000 0.5000
0.8774 0.0047 0.2405
0.3774 0.2405 0.0047
0.5199 0.7301 0.7301
0.1226 0.9953 0.7595
0.2500 0.5000 0.5000
0.4801 0.2699 0.2699
0.6226 0.7595 0.9953

---

Record 4
Pr2SiNi (PBE-GGA, optimized geometry); uncorrected energy = -4.843 eV/atom; space group = R-3m (166); magnetic moment = 0.00 μB/f.u.
1.0
3.6209 0.0000 0.0000
1.8105 3.1358 0.0000
1.8105 1.0453 9.4266
Pr Si Ni
2 1 1
direct
0.0921 0.0921 0.7236
0.9079 0.9079 0.2764
0.5000 0.5000 0.5000
0.0000 0.0000 0.0000

---

Record 5
Pr2SiNi (PBE-GGA, optimized geometry); uncorrected energy = -5.711 eV/atom; space group = P2_1/m (11); magnetic moment = 0.00 μB/f.u.
1.0
4.2398 0.0000 0.0000
0.0000 4.8755 -2.3793
0.0000 -0.0247 9.1842
Pr Ni Si
4 2 2
direct
0.2500 0.8147 0.0871
0.2500 0.7881 0.5640
0.7500 0.1853 0.9129
0.7500 0.2119 0.4360
0.7500 0.6066 0.7861
0.2500 0.3934 0.2139
0.2500 0.4151 0.7302
0.7500 0.5849 0.2698

---

Record 6
Pr3SiNi3 (PBE-GGA, optimized geometry); uncorrected energy = -5.749 eV/atom; space group = C2/m (12); magnetic moment = 0.00 μB/f.u.
1.0
-0.9344 0.6178 3.8466
-0.5694 -5.1218 2.7707
12.7845 -0.0662 5.2025
Pr Ni Si
6 6 2
direct
0.2592 0.2545 0.2272
0.4778 0.6594 0.3851
0.7408 0.7455 0.7728
0.6012 0.7199 0.0777
0.3988 0.2801 0.9223
0.5222 0.3406 0.6149
0.9012 0.1219 0.0756
0.0491 0.1392 0.7625
0.9509 0.8608 0.2375
0.8067 0.8526 0.5340
0.1933 0.1474 0.4660
0.0988 0.8781 0.9244
0.2410 0.9062 0.6118
0.7590 0.0938 0.3882

---

Record 7
Pr3SiNi2 (PBE-GGA, optimized geometry); uncorrected energy = -5.611 eV/atom; space group = Pnma (62); magnetic moment = 0.00 μB/f.u.
1.0
3.9724 0.0000 0.0000
0.0000 12.0137 0.0000
0.0000 0.0000 11.9994
Si Pr Ni
4 12 8
direct
0.7500 0.8684 0.8720
0.2500 0.1316 0.1280
0.7500 0.6316 0.3720
0.2500 0.3684 0.6280
0.2500 0.6846 0.1861
0.2500 0.1223 0.5762
0.7500 0.5638 0.6166
'''

-- Brief --
Now set down all of the data above verbatim.

-- Outcome --
Here is a relaxed Li3Mn2CrO6 crystal from the Alexandria database. Energies are from GGA+U.

a b c (Å): 6.5939 6.5939 5.9092
angles (deg): 103.48 103.48 25.66
Fractional positions:
Li1 0.0000 0.0000 0.0000
Li2 0.3323 0.3323 0.6671
Li3 0.6677 0.6677 0.3329
Mn1 0.3329 0.3329 0.1642
Mn2 0.6671 0.6671 0.8358
Cr1 0.0000 0.0000 0.5000
O1 0.1624 0.1624 0.6003
O2 0.1723 0.1723 0.0693
O3 0.4942 0.4942 0.2621
O4 0.5058 0.5058 0.7379
O5 0.8277 0.8277 0.9307
O6 0.8376 0.8376 0.3997

* ρ: 4.3 g/cm³
* raw total energy: -6.54 eV/atom
* crystal system: monoclinic

----------

Record 1
Pr8NiTe4Se3 (PBE-GGA, optimized geometry); uncorrected energy = -5.651 eV/atom; space group = R-3m (166); magnetic moment = 0.00 μB/f.u.
1.0
8.7207 0.0000 0.0000
0.0000 8.8725 0.1016
-4.3603 -4.3564 6.1696
Pr Te Se Ni
8 4 3 1
direct
0.7680 0.2805 0.5361
0.7417 0.7250 0.4833
0.7682 0.2807 0.0124
0.7559 0.7193 0.9876
0.2441 0.2807 0.0124
0.2320 0.7195 0.4639
0.2583 0.2750 0.5167
0.2318 0.7193 0.9876
0.5000 0.0000 0.5000
0.0000 0.0000 0.5000
0.5000 0.0000 0.0000
0.0000 0.0000 0.0000
0.5000 0.5000 0.5000
0.0000 0.5000 0.5000
0.5000 0.5000 0.0000
0.0000 0.5000 0.0000

---

Record 2
PrUNiSe4 (PBE-GGA, optimized geometry); uncorrected energy = -6.263 eV/atom; space group = P2_1/m (11); magnetic moment = 2.19 μB/f.u.
1.0
6.8990 0.0000 0.1425
0.0000 5.9330 0.0000
-2.5144 0.0000 7.7955
U Pr Se Ni
2 2 8 2
direct
0.7385 0.7500 0.4402
0.2615 0.2500 0.5598
0.2568 0.2500 0.0670
0.7432 0.7500 0.9330
0.5782 0.2500 0.3941
0.9833 0.0080 0.2572
0.0167 0.5080 0.7428
0.0167 0.9920 0.7428
0.4286 0.7500 0.1169
0.5714 0.2500 0.8831
0.9833 0.4920 0.2572
0.4218 0.7500 0.6059
0.2461 0.7500 0.3198
0.7539 0.2500 0.6802

---

Record 3
Pr2Si3Ni5 (PBE-GGA, optimized geometry); uncorrected energy = -6.109 eV/atom; space group = Ibam (72); magnetic moment = 0.00 μB/f.u.
1.0
-0.1222 -1.9132 5.3839
-2.8708 -7.5363 0.2900
6.1521 -5.0358 1.3834
Pr Si Ni
4 6 10
direct
0.1293 0.6262 0.1152
0.3707 0.8848 0.3738
0.8707 0.3738 0.8848
0.6293 0.1152 0.6262
0.2500 0.0000 0.0000
0.1160 0.2525 0.5154
0.8840 0.7475 0.4846
0.6160 0.5154 0.2525
0.3840 0.4846 0.7475
0.7500 0.0000 0.0000
0.9801 0.2699 0.2699
0.0199 0.7301 0.7301
0.7500 0.5000 0.5000
0.8774 0.0047 0.2405
0.3774 0.2405 0.0047
0.5199 0.7301 0.7301
0.1226 0.9953 0.7595
0.2500 0.5000 0.5000
0.4801 0.2699 0.2699
0.6226 0.7595 0.9953

---

Record 4
Pr2SiNi (PBE-GGA, optimized geometry); uncorrected energy = -4.843 eV/atom; space group = R-3m (166); magnetic moment = 0.00 μB/f.u.
1.0
3.6209 0.0000 0.0000
1.8105 3.1358 0.0000
1.8105 1.0453 9.4266
Pr Si Ni
2 1 1
direct
0.0921 0.0921 0.7236
0.9079 0.9079 0.2764
0.5000 0.5000 0.5000
0.0000 0.0000 0.0000

---

Record 5
Pr2SiNi (PBE-GGA, optimized geometry); uncorrected energy = -5.711 eV/atom; space group = P2_1/m (11); magnetic moment = 0.00 μB/f.u.
1.0
4.2398 0.0000 0.0000
0.0000 4.8755 -2.3793
0.0000 -0.0247 9.1842
Pr Ni Si
4 2 2
direct
0.2500 0.8147 0.0871
0.2500 0.7881 0.5640
0.7500 0.1853 0.9129
0.7500 0.2119 0.4360
0.7500 0.6066 0.7861
0.2500 0.3934 0.2139
0.2500 0.4151 0.7302
0.7500 0.5849 0.2698

---

Record 6
Pr3SiNi3 (PBE-GGA, optimized geometry); uncorrected energy = -5.749 eV/atom; space group = C2/m (12); magnetic moment = 0.00 μB/f.u.
1.0
-0.9344 0.6178 3.8466
-0.5694 -5.1218 2.7707
12.7845 -0.0662 5.2025
Pr Ni Si
6 6 2
direct
0.2592 0.2545 0.2272
0.4778 0.6594 0.3851
0.7408 0.7455 0.7728
0.6012 0.7199 0.0777
0.3988 0.2801 0.9223
0.5222 0.3406 0.6149
0.9012 0.1219 0.0756
0.0491 0.1392 0.7625
0.9509 0.8608 0.2375
0.8067 0.8526 0.5340
0.1933 0.1474 0.4660
0.0988 0.8781 0.9244
0.2410 0.9062 0.6118
0.7590 0.0938 0.3882

---

Record 7
Pr3SiNi2 (PBE-GGA, optimized geometry); uncorrected energy = -5.611 eV/atom; space group = Pnma (62); magnetic moment = 0.00 μB/f.u.
1.0
3.9724 0.0000 0.0000
0.0000 12.0137 0.0000
0.0000 0.0000 11.9994
Si Pr Ni
4 12 8
direct
0.7500 0.8684 0.8720
0.2500 0.1316 0.1280
0.7500 0.6316 0.3720
0.2500 0.3684 0.6280
0.2500 0.6846 0.1861
0.2500 0.1223 0.5762
0.7500 0.5638 0.6166